### To do
Work out how many lines below have the word "mol" in them; a number is enough.

### Excerpt
Model A:
! PaCoPO PBE+U relaxed; values from VASP
&SYSTEM
  ibrav = 0, nat = 8, ntyp = 4
/
ATOMIC_SPECIES
O 16.00 O.upf
P 30.97 P.upf
Co 58.93 Co.upf
Pa 231.04 Pa.upf
CELL_PARAMETERS angstrom
4.429 0.000 0.000
0.000 5.827 0.000
0.000 0.000 5.736
ATOMIC_POSITIONS angstrom
O 0.000 1.143 5.143
P 2.214 4.313 5.291
P 2.214 1.514 2.422
Co 0.000 0.898 2.971
Pa 2.214 4.419 2.392
O 0.000 4.683 2.275
Pa 2.214 1.408 5.260
Co 0.000 4.929 0.103
! magnetic moment: 3.25 μB/cell
! space-group type: No. 26

---

Model B:
! PaCoPO PBE+U relaxed; values from VASP
&SYSTEM
  ibrav = 0, nat = 8, ntyp = 4
/
ATOMIC_SPECIES
O 16.00 O.upf
Pa 231.04 Pa.upf
Co 58.93 Co.upf
P 30.97 P.upf
CELL_PARAMETERS angstrom
4.131 0.000 0.000
0.000 3.984 0.000
0.000 0.000 6.884
ATOMIC_POSITIONS angstrom
O 2.066 0.999 3.019
Pa 2.066 2.990 4.160
Pa 2.066 0.994 0.718
O 2.066 2.985 6.461
Co 0.000 1.001 3.018
Co 0.000 2.983 6.460
P 0.000 2.992 1.877
P 0.000 0.992 5.319
! magnetic moment: 1.98 μB/cell
! space-group type: No. 26

---

Energy above the most stable structure, in kJ/mol of atoms: model A 9.8; model B 0.0

---

Model A:
! CoPPbO PBE+U relaxed; values from VASP
&SYSTEM
  ibrav = 0, nat = 8, ntyp = 4
/
ATOMIC_SPECIES
Pb 207.20 Pb.upf
P 30.97 P.upf
O 16.00 O.upf
Co 58.93 Co.upf
CELL_PARAMETERS angstrom
4.191 0.000 0.000
0.000 6.662 0.000
0.000 0.000 5.600
ATOMIC_POSITIONS angstrom
Pb 0.000 4.569 2.446
P 0.000 1.730 2.394
Pb 0.000 2.093 5.246
O 2.095 1.005 4.882
Co 2.095 0.749 2.903
O 2.095 5.657 2.081
Co 2.095 5.913 0.103
P 0.000 4.932 5.194
! magnetic moment: 5.71 μB/cell
! space-group type: No. 26

---

Model B:
! CoPPbO PBE+U relaxed; values from VASP
&SYSTEM
  ibrav = 0, nat = 8, ntyp = 4
/
ATOMIC_SPECIES
O 16.00 O.upf
Pb 207.20 Pb.upf
P 30.97 P.upf
Co 58.93 Co.upf
CELL_PARAMETERS angstrom
3.078 -3.078 0.000
3.078 3.078 0.000
-0.002 0.000 8.863
ATOMIC_POSITIONS angstrom
O 1.539 -1.539 0.001
O 1.539 1.539 0.001
Pb 1.539 -1.538 4.441
P -0.001 0.000 2.731
Co 3.077 0.000 8.773
Pb 1.539 1.538 4.441
Co 0.000 0.000 0.094
P 3.077 0.000 6.149
! magnetic moment: 5.85 μB/cell
! space-group type: No. 99

---

Model C:
! CoPPbO PBE+U relaxed; values from VASP
&SYSTEM
  ibrav = 0, nat = 8, ntyp = 4
/
ATOMIC_SPECIES
O 16.00 O.upf
Pb 207.20 Pb.upf
P 30.97 P.upf
Co 58.93 Co.upf
CELL_PARAMETERS angstrom
3.855 0.000 0.000
0.000 3.855 0.000
0.000 0.000 9.706
ATOMIC_POSITIONS angstrom
O 1.927 1.927 0.000
O 0.000 0.000 0.000
Pb 0.000 1.927 8.445
P 0.000 1.927 3.846
Pb 1.927 0.000 1.261
Co 1.927 1.927 4.853
Co 0.000 0.000 4.853
P 1.927 0.000 5.860
! magnetic moment: 1.07 μB/cell
! space-group type: No. 129

---

Model D:
! CoPPbO PBE+U relaxed; values from VASP
&SYSTEM
  ibrav = 0, nat = 8, ntyp = 4
/
ATOMIC_SPECIES
O 16.00 O.upf
Pb 207.20 Pb.upf
P 30.97 P.upf
Co 58.93 Co.upf
CELL_PARAMETERS angstrom
3.241 0.000 0.000
0.000 6.792 0.000
0.000 0.000 6.720
ATOMIC_POSITIONS angstrom
O 1.621 5.932 2.973
Pb 1.621 5.435 0.379
P 0.000 2.991 1.871
Co 0.000 1.911 6.564
Co 0.000 4.881 3.204
O 1.621 0.859 6.332
Pb 1.621 1.357 3.739
P 0.000 3.800 5.231
! magnetic moment: 5.16 μB/cell
! space-group type: No. 26

---

Energy above the most stable structure, in kJ/mol of atoms: model A 9.4; model B 47.6; model C 0.0; model D 15.9

---

Model A:
! CoPPdO PBE+U relaxed; values from VASP
&SYSTEM
  ibrav = 0, nat = 8, ntyp = 4
/
ATOMIC_SPECIES
P 30.97 P.upf
O 16.00 O.upf
Pd 106.42 Pd.upf
Co 58.93 Co.upf
CELL_PARAMETERS angstrom
-3.525 1.086 1.545
-0.140 -3.413 2.080
3.940 3.723 6.373
ATOMIC_POSITIONS angstrom
P 2.570 2.428 4.157
O -1.762 0.543 0.772
Pd 0.208 2.404 3.959
Co 3.808 3.598 6.160
O -0.070 -1.706 1.040
Pd 1.900 0.155 4.227
Co -1.700 -1.039 2.026
P -0.462 0.131 4.029
! magnetic moment: 5.72 μB/cell
! space-group type: No. 129

---

Model B:
! CoPPdO PBE+U relaxed; values from VASP
&SYSTEM
  ibrav = 0, nat = 8, ntyp = 4
/
ATOMIC_SPECIES
Co 58.93 Co.upf
P 30.97 P.upf
O 16.00 O.upf
Pd 106.42 Pd.upf
CELL_PARAMETERS angstrom
3.267 0.000 0.000
0.000 7.143 0.000
0.000 0.000 4.856

### Result
2